
Teams > Karlsruhe members

Current members

Stefan Gieseke (Team Leader)

Stefan Gieseke is the team leader of the Karlsruhe group and one of the main authors of Herwig. His main research interest is the description of parton showers and their matching to higher order perturbative calculations. Further research is about the interplay between perturbative and non-perturbative aspects of event generation as e.g. in the underlying event.

Patrick Kirchgaeßer

Patrick Kirchgaeßer is a PhD student at KIT since March 2017. He is interested in non-perturbative aspects of particle production in Herwig.

Emma Simpson Dore

Emma Simpson Dore is a PhD student at KIT since October 2017. Her main research interests are higher order contributions to parton showers.

(Unrelated to this article: crystal structures)
........
# 1
Structure and simulated powder XRD pattern of Pr6ScPb10 (a cell relaxed with GGA-PBE; copper Kα).

Structural model:
Lattice parameters (Å, degrees): 9.5908 9.5908 6.5656 90.00 90.00 120.00
Space group P-31m (No. 162)
Asymmetric unit:
1 Pr 0.0000 0.3905 0.2595 [6 per cell]
2 Sc 0.0000 0.0000 0.5000 [1 per cell]
3 Pb 0.0000 0.2437 0.7931 [6 per cell]
4 Pb 0.3333 0.6667 0.0000 [2 per cell]
5 Pb 0.3333 0.6667 0.5000 [2 per cell]

Principal peaks in the range 2θ from 5° to 70°, most intense first:
d (Å)	2θ/deg	I_rel	h k l
2.832	31.59	100	3 -1 1
2.709	33.07	86	1 1 2
2.769	32.34	51	3 0 0
3.139	28.43	33	2 1 0
1.936	46.93	24	2 2 2
1.795	50.86	18	3 -1 3
3.053	29.25	15	1 0 2
1.455	64.01	15	2 1 4
1.482	62.68	15	5 0 2
1.830	49.83	14	3 2 1

=====

# 2
Structure and simulated powder XRD pattern of TbPmAu5 (a cell relaxed with GGA-PBE; copper Kα).

Structural model:
Lattice parameters (Å, degrees): 6.7000 8.3042 11.5211 90.00 106.69 90.00
Space group C2/c (No. 15)
Asymmetric unit:
1 Tb 0.0000 0.1874 0.2500 [4 per cell]
2 Pm 0.2500 0.2500 0.0000 [4 per cell]
3 Au 0.0000 0.1774 0.7500 [4 per cell]
4 Au 0.1023 0.4941 0.6522 [8 per cell]
5 Au 0.1771 0.1067 0.5384 [8 per cell]

Principal peaks in the range 2θ from 5° to 70°, most intense first:
d (Å)	2θ/deg	I_rel	h k l
2.539	35.35	100	1 3 0
2.695	33.25	74	1 1 -4
2.481	36.20	64	2 0 2
2.146	42.11	39	3 1 -2
2.214	40.75	31	1 3 2
2.298	39.20	26	0 2 4
2.417	37.19	24	1 3 1
2.356	38.20	20	2 2 -3
1.616	57.00	15	1 1 6
2.757	32.47	14	0 0 4

=====

# 3
Structure and simulated powder XRD pattern of Sr2Zn2Cl (a cell relaxed with GGA-PBE; copper Kα).

Structural model:
Lattice parameters (Å, degrees): 4.4301 4.4301 25.2112 90.00 90.00 120.00
Space group R-3m (No. 166, hexagonal axes)
Asymmetric unit:
1 Sr 0.0000 0.0000 0.0832 [6 per cell]
2 Zn 0.0000 0.0000 0.3321 [6 per cell]
3 Cl 0.0000 0.0000 0.5000 [3 per cell]

Principal peaks in the range 2θ from 5° to 70°, most intense first:
d (Å)	2θ/deg	I_rel	h k l
3.053	29.25	100	0 1 5
2.215	40.73	72	1 1 0
2.626	34.15	61	1 0 7
8.404	10.53	54	0 0 3
1.524	60.76	42	1 1 12
3.277	27.21	24	1 0 4
2.101	43.05	20	0 0 12
1.793	50.93	20	2 0 5
1.394	67.17	17	1 2 5
1.693	54.17	15	0 2 7
........

Maximilian Löschner

Max Löschner is a postdoc at KIT since March 2019. Among his research interests are colour evolution in pertubative and non-perturbative contexts and higher order contributions to parton showers in general.

Former short-term student projects

Cody Duncan (Monash University)

Space time colour reconnection in Herwig: The MCnet short-term project aimed at implementing a complete description of spacetime coordinates and evolution during event generation in Herwig 7. The current version of Herwig, as with most other event generators, is formulated in an energy-momentum picture, with no concrete understanding of geometry and spacetime information generation. After a high-energy collision, outgoing QCD partons will undergo bremsstrahlung, lowering their energy more and more until reaching the non-perturbative, low-energy regime of QCD. At this energy scale and below, phenomenological models are used to attempt to describe hadronization, the process by which individual coloured partons coalesce into composite colourless hadrons. One piece of hadronization is colour reconnection, which switches around the colour connections between partons, aiming to reduce some kinematic measure of the system, which in Herwig is invariant mass.

A new model aims to generate and propagate spacetime coordinates during the contributing stages of the event, namely the multiple parton interactions and the parton shower. Multiple parton interactions occur in proton-proton collisions due to the composite nature of protons. Since protons are finitely sized objects, when they collide the constituent partons which undergo scattering processes may occur at transversely separated points in spacetime. These transverse separations can be of the size of the proton, potentially reducing the likelihood of causal connection. By using spacetime coordinates to perform colour reconnection, we reflect this causal separation. Our new model generates these transverse coordinates using the protons’ individual form factors and the overlap between them.

While showering, they are expected to travel a finite distance, analogous to the Heisenberg Uncertainty Principle. In our model, the partons with higher energy (i.e. earlier emissions) should travel a shorter distance with respect to the lower energy partons (i.e. later emissions). The showering process smears the initial transverse separation of the multiple parton interactions, allowing nearby systems to come into causal contact, and changing the geometry of the system. This setup is perfect for allowing colour reconnection to change the colour topology of the event based on the distance between individual partons or entire multiple parton interaction systems.

Emma Simpson Dore (Vienna)

Investigating singularities in NLO splitting kernels: The parton shower in Herwig is the product of many years of continuous development and its main purpose is to evolve the event from the hard energy scale to an infrared cutoff scale where non-perturbative hadronisation models take over. The next step in development of the shower is to include higher orders to increase the logarithmic accuracy. This requires the implementation of splitting functions for two or more emissions which involves the organisation and bookkeeping of the singularity structures of QCD cross sections. These higher order calculations are to be implemented in a methodical and algorithmic manner to allow for efficient computing. The soft and collinear limits are often treated separately however, it has been one goal of this project to look at the cross over between these two limits and the details of the relevant singularities as this includes a much wider region of phase space. The overall aim is to develop a higher order parton shower that can be implemented in Herwig and will improve the accuracy of the event simulation.